FAO Global Youth Dialogue on Sustainable Livestock Transformation, September 2023 in Rome.
### The entry is interrupted by records of molecules
=====
101
Properties=species:S:1:pos:R:3:forces:R:3:mulliken_charge:R:1 method="wB97M-V/def2-TZVPD" charge=+1 homo_energy_ha=-0.3743 e_above_lowest_kcal_mol=13.3 gap_ev=7.202
La -0.295284 -0.857184 -0.319019 0.1255 0.5952 0.9517 0.1861
O 3.852190 0.322818 5.895821 0.0243 -0.0163 -0.0382 -0.5052
C 4.422835 -0.244495 4.734173 -0.1092 0.0299 0.0151 -0.6548
C 3.340776 -0.427669 3.705188 0.0952 0.0338 0.0363 0.0543
C 3.531401 -1.283973 2.629938 -0.0795 -0.0632 0.0066 -1.1859
C 2.521870 -1.408807 1.698543 0.1066 0.1242 -0.0736 -0.7267
N 1.378286 -0.723663 1.767402 -0.0044 0.0296 -0.0416 0.8880
C 1.169662 0.074458 2.822060 -0.1675 0.0421 -0.0012 -0.1724
C 2.132741 0.248120 3.805187 -0.0127 -0.0684 -0.0044 -0.2203
C -0.185982 0.704930 2.929498 0.1575 -0.1612 -0.0071 0.2680
C -0.464871 1.654035 3.897913 -0.0505 0.0262 -0.0024 -0.3466
C -1.762170 2.133596 4.038744 0.0456 0.0177 0.0403 0.4255
C -2.081977 3.160506 5.099107 0.0175 -0.0171 0.0132 -0.8274
O -1.031560 4.083662 5.292072 0.0006 -0.0135 -0.0180 -0.5053
C -2.734494 1.631677 3.192388 -0.0934 -0.0622 -0.0596 -1.1156
C -2.369157 0.716840 2.219525 0.0575 0.0139 0.0524 -0.9003
N -1.125546 0.262317 2.075411 0.0961 0.1349 -0.1338 0.8347
H 4.537457 0.443125 6.558857 0.0208 0.0171 0.0179 0.3218
H 4.886195 -1.214406 4.939161 -0.0133 -0.0040 0.0241 0.3529
H 5.194457 0.411060 4.312409 0.0039 -0.0169 -0.0238 0.3125
H 4.438136 -1.863651 2.519852 0.0154 0.0050 0.0166 0.5188
H 2.637537 -2.068108 0.845883 -0.0046 0.0141 -0.0091 0.4635
H 1.949893 0.869716 4.666517 0.0390 0.0055 0.0173 0.6200
H 0.309622 2.041614 4.542533 -0.0115 0.0178 0.0171 0.6567
H -2.212286 2.651121 6.056004 -0.0168 -0.0005 -0.0039 0.2801
H -3.028833 3.654836 4.864425 0.0164 0.0176 -0.0173 0.3907
H -0.996760 4.679331 4.535989 0.0037 0.0242 0.0240 0.3203
H -3.761699 1.968089 3.251156 0.0016 0.0075 0.0176 0.4722
H -3.100511 0.347555 1.511561 -0.0167 0.0004 0.0020 0.2864
C -2.191733 1.313154 -4.969364 -0.0986 -0.0316 -0.1511 -1.2368
Si -1.108322 0.400666 -3.751266 0.0751 -0.0447 0.0712 0.1635
C -1.616177 -1.397931 -3.941519 -0.0680 -0.1303 0.0195 -1.2183
C 0.653452 0.668811 -4.323466 0.1229 0.0562 -0.0446 -0.5278
C -1.320481 0.917531 -1.962839 -0.4173 0.0633 0.0602 2.0358
C -2.680796 0.457142 -1.538308 -0.0690 0.0630 0.0448 -0.9555
C -3.904447 1.070971 -1.875278 0.1635 0.0233 -0.0225 -0.5993
C -5.096066 0.496132 -1.499929 -0.0839 -0.0238 0.0133 -0.9926
C -5.104234 -0.698256 -0.775251 -0.0288 0.0356 -0.0171 -0.5964
C -3.891382 -1.245642 -0.442122 0.0737 0.0664 -0.0035 -1.0149
N -2.728663 -0.676683 -0.795934 -0.1961 -0.0307 -0.1496 1.0688
Si -0.963828 2.714470 -1.640355 -0.0029 -0.0895 -0.0784 0.1167
C 0.796814 3.150557 -2.104291 0.1414 0.0255 -0.0382 -0.8446
C -2.019009 4.003123 -2.497585 -0.1031 0.1392 0.0290 -1.2050
C -1.167854 3.089338 0.189799 0.0467 0.0262 0.1639 -0.8426
H -2.001674 0.887896 -5.959776 -0.0332 0.0150 -0.0162 0.4091
H -1.979969 2.378945 -5.029502 0.0149 0.0452 0.0002 0.3402
H -3.255626 1.180051 -4.763687 -0.0166 0.0277 0.0066 0.3232
=====
Written by Abdul Wahid Khan, PhD student, School of Geography and the Environment, University of Oxford
The Food and Agricultural Organization of the United Nations (FA0) organised the first-ever Global Youth Dialogue on Sustainable Livestock Transformation on 25-27th of September 2023 at FAO headquarters in Rome (Italy) in collaboration with UNIMED – Mediterranean Universities Union as part of the wider FAO Global Conference on Sustainable Livestock Transformation (GC-SLT). I had the privilege to attend this conference along with 100+ young people from across the globe, and the FAO funded some of the participants to attend this gathering. The dialogue aimed to bring the youth together to identify the key challenges that young people affiliated with livestock face and to present innovative and practical solutions for sustainable livestock transformation.
On the first day, we were able to attend the opening plenary session of the Global Conference on Sustainable Livestock Transformation where we had the opportunity to listen to various speakers, including QU Dongyu, FAO Director-General, ministers and academics from different countries and Introduction to the Voices of Youths from two youth representatives. Most speakers focused on scientific and technological solutions, a collaboration between various stakeholders and bringing livestock to the front of global discussions. What struck me the most was a statement from H.E. Fernando Mattos, Uruguay’s Minister for Livestock, Agriculture and Fisheries, who said that many people blame livestock for climate change. The problem of climate change is not created by cows, it is created by humans and what humans are doing to the world. Livestock is not a problem; it is a part of the solution. That bold statement from a minister at a global conference was an encouraging dose of motivation for the young people to go to their sessions and challenge the biases against pastoralists, farmers, livestock producers and distributors in policymaking and beyond.
The first day’s session in the youth dialogue revolved around social, economic, environmental, and cross-cutting challenges that are faced by young people who are affiliated with the livestock sector. There were interesting discussions around urbanisation and migration, miserable working conditions, lack of openness to innovation from farmers and the negative connotations attached to livestock as social challenges. Economic challenges included complicated processes of bank loans and value chains, access to the market, inflation, economic instability, and lower income from the livestock sector. Environmental challenges include land degradation, green grabbing, the impact of climate change, policies of government around environmental regulations, climate change bias towards the livestock sector and lack of education around climate change and its link with the livestock industry. Later, the youth groups presented solutions to these issues as well.
Some of the opportunities and solutions for the social challenges that were discussed by the youth included creating platforms for knowledge sharing, storytelling, and social media engagement for the involvement of young people and creating multiple layers of collaborations for dealing with these issues. The economic opportunities discussed constituted easy access to the market and finance for the livestock sector, increased trade channels, collaborations, more job opportunities, consumer engagement for increased demand, etc. The environmental opportunities included the involvement of technology, more career opportunities in the environment sector, knowledge-sharing opportunities and dealing with the bias of climate change towards the livestock sector. Throughout the two days, many young people also shared their success stories of how they are making a difference in the livestock sectors and practically implementing the solutions that were discussed.
The final part of the youth dialogue was to come up with a youth statement that was later presented to the ministers from around the world in the plenary session of the closing ceremony. The statement was to be drafted in one session, but the youth took this job seriously and we worked on the statement till 09: 00 pm at night and spent another session the next day to finalise the draft. This shows that young people are super motivated to engage in such discussions and to work around a diverse group of people with differing worldviews. In the end, the statement was ready, and I was selected to be one of the presenters which was an amazing experience as well. The Global Youth Statement on Sustainable Livestock Transformation is available online now and can be found here: https://www.fao.org/3/cc8053en/cc8053en.pdf
While this dialogue was successful in bringing together youth from around the world to discuss the mutual issues of the livestock sector, I would like to reflect on a few things that can be made better. First of all, this one-off meeting would not be enough, and I hope that there is a more sustainable way to engage youth in the future as we have highlighted in the youth statement. Furthermore, there was not enough representation of pastoralist communities in the livestock sectors whose livelihood depends on livestock and they keep livestock for sustenance rather than for the market. Most of the discussions throughout the conference were targeted at how the “productivity” of the livestock sector can be increased without much consideration towards livestock as a source of living. There were a few sessions where speakers focused on the fact that pastoralists should be seen as partners rather than as beneficiaries. Many of the notes and texts from FAO already suggested that pastoralists are “poor” people and I hope that after these discussions, such misconceptions would change. One of the highlights of this conference was that the youth who are working on pastoralism met for lunch and discussed the Youth Working Group for the International Year of Rangelands and Pastoralists 2026. Nevertheless, we thank FAO for organising this youth dialogue and including the youth voice in the important discussion on livestock transformation.